It Was All Wind, Sail, and Sea

Blake Lyons, A Watch, SUNY ESF
Ship’s Log
Noon Position: (Lat and Long)
19°40.6’N, 66°27.9’W
Ship Heading (degrees)
Ship Speed (knots)
Taffrail Log (nm)
Weather / Wind / Sail Plan (from 1300 Watch Change)
- - -
C25H42GeMoNO3 as an isolated structure at a distorted geometry. Source: the OMol25 dataset; level of theory: ωB97M-V/def2-TZVPD.

Results
ΔE to the lowest compared entry with this formula, charge and spin: 19.1 kcal/mol
2S+1: 2
F_max: 1.45 eV Å⁻¹
total charge: +4
orbital gap (alpha / beta): 7.7 / 5.5 eV

Structure (XYZ):
```
73
Properties=species:S:1:pos:R:3:forces:R:3
Mo 1.34664 -0.16035 0.14422 0.612 1.055 -0.487
C 0.45198 3.10700 1.09221 0.006 0.020 0.019
C 1.58438 2.53827 1.92419 0.007 -0.022 0.064
C 2.65499 3.56758 2.22482 -0.017 0.026 0.008
C 1.09667 1.83334 3.17231 0.011 0.019 0.008
O 2.22361 1.47807 1.05562 -0.151 -0.160 -0.066
Ge 4.05748 1.35039 0.61217 0.035 0.063 -0.108
O 3.27978 0.06447 -0.53950 -0.006 -0.106 0.235
C 4.12856 -0.73024 -1.54534 -0.100 0.095 0.036
C 3.50171 -2.10290 -1.63599 0.081 -0.038 0.005
C 4.06157 0.04306 -2.84523 0.043 -0.064 -0.040
C 5.53174 -0.77866 -0.97114 0.014 -0.003 -0.030
O 1.23786 -1.51029 1.06868 -0.145 -0.566 0.327
C 1.16272 -3.94838 2.29847 0.063 -1.274 0.687
C 2.27834 -4.52398 1.55356 0.072 0.339 -0.284
C 1.40671 -3.43460 3.64020 0.052 0.424 -0.099
C -0.19922 -4.31115 1.91307 -0.093 0.309 -0.145
H -0.09432 3.85400 1.66875 0.004 -0.005 0.004
H -0.26687 2.32189 0.81726 0.005 -0.001 0.002
H 0.82393 3.59746 0.19144 -0.001 -0.011 -0.006
H 2.23303 4.37219 2.82805 -0.014 -0.008 0.002
H 3.04289 4.03298 1.31401 0.010 -0.013 -0.003
H 3.47482 3.14213 2.80960 0.008 0.006 -0.004
H 0.60367 2.54828 3.83137 0.002 0.003 -0.008
H 1.92444 1.39014 3.72641 -0.001 -0.004 -0.003
H 0.37476 1.05064 2.92089 -0.020 -0.018 -0.001
H 2.53010 -2.07097 -2.13054 -0.019 0.008 0.028
H 3.40897 -2.55750 -0.64753 0.015 -0.002 -0.010
H 4.14586 -2.74803 -2.23421 -0.017 0.006 -0.027
H 3.06362 0.00613 -3.28372 -0.016 0.024 0.014
H 4.75631 -0.39732 -3.56186 -0.023 -0.018 -0.011
H 4.36042 1.08388 -2.70817 0.020 -0.008 0.003
H 5.54544 -1.17652 0.04734 -0.006 -0.014 -0.001
H 6.02905 0.19515 -0.99945 -0.012 0.010 0.019
H 6.14480 -1.44368 -1.58018 0.010 0.014 -0.009
H 3.20882 -3.97002 1.66453 0.004 -0.018 0.056
H 2.05546 -4.75246 0.51392 -0.032 -0.040 0.016
H 2.44175 -5.48851 2.07013 0.035 0.005 -0.027
H 2.40508 -3.03288 3.79385 0.025 -0.061 0.002
H 1.32500 -4.34874 4.26040 -0.006 0.035 0.030
H 0.63422 -2.75911 4.00186 -0.044 -0.048 0.006
H -0.37832 -4.22247 0.84170 0.034 -0.043 -0.011
H -0.97271 -3.83004 2.50515 0.005 -0.012 -0.004
H -0.24340 -5.39611 2.11717 -0.032 0.011 -0.014
C -3.99732 0.74762 -1.46444 0.051 0.038 -0.006
C -3.64498 0.82774 -0.04063 -0.050 -0.062 -0.032
C -2.79729 -0.15262 0.57247 -0.466 -0.011 0.186
C -2.68434 -0.17475 1.92927 -0.003 0.022 -0.016
C -3.34600 0.81307 2.72461 -0.014 -0.014 -0.005
C -4.12459 1.82333 2.13195 0.026 0.020 0.030
C -4.25878 1.84236 0.77378 -0.012 -0.004 -0.023
H -5.03198 0.37058 -1.53200 -0.001 -0.004 0.000
H -3.35961 0.07113 -2.02908 -0.004 0.005 -0.003
H -4.03944 1.73824 -1.92565 0.001 -0.001 -0.001
H -2.41150 -0.96378 -0.03267 0.108 0.090 -0.072
H -2.15138 -0.97172 2.43213 0.033 0.044 -0.004
- - -
B watch relieved A watch of the conn and deck, steering 170° PSC sailing under 1°, reef main and stays’ls on a port track- close reaching, wind easterly- beaufort force 3.
Description of location
Above the PR Trench
Whelp, attempting to encompass and relay a day aboard Cramer is no small task and now that I’m sitting down to do so, I’m rather overwhelmed! She’s small enough to feel cozy, but with 3 watches and 32 souls on board, there’s endless activity.
We began the morning with pillowy pancakes made by Mac, who heroically sacrificed sleep to please the people. We greatly appreciate it! We, in fact, appreciate every moment Alex and Mac, our stews, spend working to make sure we have lovely food to fuel our watches. They go above and beyond in both quality and time and deserve a shout out every day for their incredible work!
At 07:00, A watch relieved C watch, and shortly after, dolphins were sighted off the bow. In the name of science, all sailing was paused, and we gathered for some very official dolphin observation. For over 20 minutes, 10 or so spotted dolphins danced in our current, diving in and out of the waves while weaving around each other and our bow.
Eventually, we had to break away and return to our respective positions in lab, deck, and galley. Kate, Starr, Peter, and I were in lab and spent the morning deploying the carousel (which carries and collects many things including the Niskin bottles, which collect water at various depths for sampling), neuston net (for collecting zooplankton and sargassum), phytoplankton net, and secchi disk (determines depth of visibility in water). Science went slightly awry when we pulled up the carousel and came to the realization that none of the Niskin bottles fired due to mechanical malfunction. Simultaneous to the dawning of this realization, a squall overtook the ship. It was a small squall and while some people jumped to grab their foulies, our brilliant captain jumped at the opportunity to swab the deck. (We’ve been needing to give her a good scrub for several days, but fresh water is in short supply on board.) Everyone got down on their hands and knees in their cheerfully colored rain gear and set to scrubbing our lovely ship clean. It was a merry affair and the squall passed over rather quickly.
Molecular data, as found in the file.
____________
No. 1
N2O4 | the ωB97M-V functional and the def2-TZVPD basis

Cartesian coordinates (Å):
O1 2.23459 0.44031 0.02911
O2 0.70398 -1.13178 -0.05302
O3 -2.38845 -0.19098 0.02555
O4 -0.52146 0.96889 -0.01709
N1 1.18870 -0.07346 -0.00185
N2 -1.21736 -0.01299 0.01730

Values from the calculation:
Gap between HOMO and LUMO (spin up / spin down) = 0.287 / 0.338 Eh
Charge = 0
Highest occupied orbital energy (spin up / spin down) = -9.35 / -10.08 eV
Energy relative to the best compared isomer or geometry (same formula, charge and spin) = 135.0 kJ/mol
F_max = 2.15 eV/Å


No. 2
C16H26AlF5O4P | the ωB97M-V functional and the def2-TZVPD basis

Cartesian coordinates (Å):
P1 1.59911 1.35404 -0.18603
Al1 1.81272 -6.52570 3.70635
F1 2.68735 -5.20759 4.32579
F2 0.83761 -3.02784 2.91124
F3 2.13465 -7.90718 4.64476
F4 2.28460 -6.80833 2.09292
F5 0.14367 -6.18086 3.74448
O1 -2.51441 -1.11673 -2.34599
O2 -0.92663 -1.77174 -0.85965
O3 -2.11800 5.17229 -2.08368
O4 -2.38200 3.11715 -2.98554
C1 0.84495 -1.84572 0.90160
C2 3.07830 0.57774 0.62563
C3 -1.25401 -3.00722 1.88472
C4 -1.55651 -0.84367 -1.63128
C5 -0.09668 -1.03884 0.04894
C6 3.21165 1.14893 2.03831
C7 -4.00225 3.91138 -1.37429
C8 -1.53474 1.92168 0.61004
C9 2.31351 2.07224 -1.73065
C10 -1.00530 2.74159 -2.83865
C11 0.23530 -3.04267 1.65458
C12 -0.85475 0.55032 -1.46140
C13 -2.73852 4.13726 -2.16389
C14 -0.83103 1.22742 -2.83568
C15 -1.82358 1.31846 -0.57659
C16 0.45645 0.04433 -0.85527
H1 2.34552 0.95281 2.66053
H2 -0.45649 3.13647 -3.69174
H3 0.98322 -0.42183 -1.69471
H4 2.59226 1.28278 -2.43284
H5 1.30495 -1.19109 1.63179
H6 -1.65709 2.98589 0.77822
H7 1.64657 -2.23089 0.27084
H8 -0.74401 -0.53822 0.76995
H9 -4.55059 4.84386 -1.36672
H10 3.09394 -0.50547 0.60135
H11 -1.66325 -2.00812 1.98848
H12 -0.53072 3.17621 -1.96428
H13 0.11044 1.00306 -3.33113
H14 3.21469 2.63428 -1.51114
H15 3.95996 0.90221 0.07511
H16 -3.76852 3.64523 -0.34866
H17 -1.19507 1.34695 1.46149
H18 -1.52014 -3.64933 2.71361
H19 -2.83775 1.36515 -0.95776
H20 4.13726 0.83018 2.50660
H21 -4.56481 3.11389 -1.84713
H22 3.27409 2.23113 1.93881
H23 0.56830 -3.96403 1.19054
H24 1.60589 2.71375 -2.24248
H25 -1.60968 0.81578 -3.47215
H26 -1.74040 -3.44135 1.01260

Values from the calculation:
Gap between HOMO and LUMO = 0.292 Eh
Charge = -1
Highest occupied orbital energy = -6.35 eV
F_max = 2.97 eV/Å


No. 3
C23H23N2 | the ωB97M-V functional and the def2-TZVPD basis

Cartesian coordinates (Å):
N1 -1.30193 0.18706 -0.58843
N2 1.00921 -0.45484 -0.09712
C1 -2.66914 0.04182 -0.09607
C2 -0.36113 -0.93519 -0.49849
C3 2.64905 0.69040 3.55004
C4 2.75272 0.23728 1.21332
C5 3.27888 -0.12195 -0.07127
C6 -1.66274 2.53468 -1.29380
C7 -0.96866 1.22165 -1.34965
C8 1.27770 0.38658 3.54666
C9 2.19454 -0.60321 -0.84173
C10 3.40958 0.58588 2.38395
C11 -4.51062 0.95039 1.22863
C12 -0.02808 1.06805 -2.47450
C13 -5.20524 -0.25866 1.09678
C14 3.70461 -1.18279 -2.60356
C15 -3.43730 -1.11242 -0.32739
C16 0.61502 0.00903 2.36965
C17 4.57709 -0.17858 -0.56775
____________
The afternoon was spent dashing around the freshly scrubbed deck in much excitement as all hands ran through our MOB (Man Overboard), general alarm/fire, and abandon ship drills. Practice makes perfect and we all feel much more sure of ourselves and our emergency roles. Plus it was good fun to sound all the horns and whistles and let loose the fire hoses over the leeward side! We reconvened after drills for watch meetings where we discussed our goals for the program and how to best support each other in achieving those goals. Commonalities A watch had in our individual goals were the desire to learn the basics of sailing and to foster community and connection. We’re kickin’ butt on both fronts so far!
After watch and class, I found myself drifting about the ship and falling into conversation with friends on B and C watch. We all live and work together, but the watch schedules can make quality time with those on other watches hard to come by.
I eventually found myself in the headrig- which holds my whole heart. If you’re ever looking for me and I’m off-watch- I’m in the headrig. Starr joined me and we had a long chat about tall ships and work aboard them. We paused part way through to help C watch raise the Jib Tops’l. A momentous occasion as it’s the first time we’ve raised the sail this voyage! Starr and I loosened the ties securing her to the bowsprit then lay back in the headrig to watch the sail be hoisted far above us. As the sun lowered, Starr departed and I lay alone with the ship and the sea. I can’t put proper words to the place or the moment, but I’ll try.
┌──
The following is a DFT calculation (ωB97M-V/def2-TZVPD) of 10 unconnected molecules or ions with the total composition C52H132F3N7O18.

Geometry (Å):
C (2.20, 5.52, -0.56)
O (1.53, 4.36, -0.01)
O (2.80, 5.22, -1.83)
C (1.29, 6.75, -0.50)
F (0.16, 6.60, -1.23)
F (0.80, 6.93, 0.76)
F (1.81, 7.91, -0.86)
C (1.96, 3.81, 1.25)
C (1.19, 2.51, 1.45)
H (0.18, 2.75, 1.77)
H (1.20, 1.91, 0.54)
H (1.43, 1.75, 2.20)
H (1.78, 4.56, 2.02)
H (3.01, 3.51, 1.21)
H (2.96, 5.82, 0.16)
C (-0.42, -0.73, -0.09)
C (-1.64, 0.02, -0.62)
C (-1.46, 0.60, -2.03)
O (-2.78, -0.79, -0.53)
H (-0.50, -0.74, 0.99)
H (0.51, -0.21, -0.34)
H (-0.42, -1.77, -0.41)
H (-1.81, 0.84, 0.08)
H (-2.15, 1.42, -2.20)
H (-1.31, -0.20, -2.75)
H (-0.49, 1.06, -2.20)
C (-1.03, 2.26, -5.41)
C (-0.22, 3.50, -5.02)
C (-0.39, 3.84, -3.53)
O (1.13, 3.46, -5.48)
H (-1.08, 2.07, -6.48)
H (-1.99, 2.35, -4.90)
H (-0.49, 1.41, -4.99)
H (-0.67, 4.35, -5.54)
H (0.32, 4.63, -3.28)
H (-0.05, 3.01, -2.90)
H (-1.37, 4.17, -3.20)
C (-1.96, 4.26, 0.82)
O (-3.27, 4.32, 0.29)
C (-3.36, 5.09, -0.89)
C (-4.34, 4.39, -1.85)
N (-5.70, 4.07, -1.20)
H (-6.30, 3.69, -1.92)
H (-5.60, 3.25, -0.62)
C (-6.53, 5.20, -0.56)
C (-7.95, 4.67, -0.30)
O (-7.96, 3.70, 0.74)
C (-9.22, 3.33, 1.20)
H (-1.29, 5.12, 0.75)
H (-1.37, 3.56, 0.22)
H (-2.03, 4.02, 1.88)
H (-2.45, 5.37, -1.41)
H (-3.60, 6.13, -0.67)
H (-3.85, 3.50, -2.23)
H (-4.53, 4.96, -2.76)
H (-6.37, 5.99, -1.30)
H (-6.05, 5.47, 0.38)
H (-8.32, 4.29, -1.25)
H (-8.61, 5.49, 0.00)
H (-9.94, 3.13, 0.40)
H (-9.64, 4.02, 1.93)
H (-9.22, 2.33, 1.62)
C (2.59, -1.56, -4.31)
O (3.07, -0.37, -3.60)
C (1.98, 0.17, -2.85)
C (2.52, 1.45, -2.12)
N (2.79, 2.65, -3.07)
H (1.96, 2.86, -3.60)
H (2.81, 3.54, -2.60)
C (4.02, 2.73, -4.03)
C (5.37, 2.81, -3.36)
O (5.67, 1.64, -2.56)
C (6.03, 0.45, -3.30)
H (1.67, -1.46, -4.87)
H (2.49, -2.45, -3.68)
H (3.35, -1.83, -5.04)
H (1.57, -0.61, -2.20)
H (1.23, 0.53, -3.54)
H (3.27, 1.25, -1.35)
H (1.69, 1.82, -1.52)
H (3.79, 3.59, -4.65)
H (3.99, 1.92, -4.76)
H (5.32, 3.58, -2.59)
H (6.17, 3.12, -4.03)
H (5.27, -0.09, -3.86)
H (6.35, -0.25, -2.53)
H (6.82, 0.62, -4.03)
C (-1.44, -3.84, 2.58)
O (-2.55, -4.47, 1.92)
C (-3.62, -3.62, 1.68)
C (-4.42, -4.02, 0.42)
N (-3.71, -3.57, -0.81)
H (-4.20, -3.50, -1.69)
H (-3.36, -2.62, -0.78)
C (-2.48, -4.47, -1.17)
C (-1.91, -4.37, -2.57)
O (-0.69, -5.05, -2.50)
C (0.13, -4.59, -3.47)
H (-1.85, -3.50, 3.53)
H (-1.10, -3.00, 1.98)
H (-0.63, -4.51, 2.85)
H (-3.27, -2.59, 1.62)
H (-4.30, -3.76, 2.51)
H (-5.41, -3.56, 0.31)
H (-4.67, -5.08, 0.40)
H (-2.74, -5.49, -0.89)
H (-1.72, -4.09, -0.49)
H (-1.85, -3.31, -2.83)
H (-2.64, -4.87, -3.21)
H (-0.25, -4.48, -4.49)
H (1.04, -5.19, -3.41)
H (0.59, -3.62, -3.28)
C (-2.46, 0.37, 3.09)
O (-1.73, 0.12, 4.30)
C (-2.11, 1.05, 5.32)
C (-1.14, 1.05, 6.55)
N (-0.80, -0.38, 6.89)
H (-1.36, -0.68, 7.67)
H (-1.15, -0.86, 6.07)
C (0.69, -0.67, 7.20)
C (0.95, -2.18, 7.47)
O (0.22, -2.93, 6.40)
C (0.46, -4.35, 6.52)
H (-2.30, -0.47, 2.41)
H (-2.04, 1.23, 2.56)
H (-3.52, 0.54, 3.28)
└──
I lay there cradled by warm Caribbean winds and the arms of Cramer.
My right foot resting on the forwardmost point of the bow while my left leg dangled through the ropes of the headrig to the water below. The swells were high, and as we rolled down the side of them, the sea rose up and tapped my toes. It was all wind, sail, and sea and I lay there in the midst of it with my hair twining around my face and the glow of the sunset lighting the waves. I wish I could take all of you with me into these moments, but we’ll just have to settle for words.
I write this now in the Salon (dining room). Dinner wrapped up a while ago and everyone is either tucked into their bunks or up on deck. I’m staying up a little later to write to all of you. I’ll have to wrap it up now though, because I’ve got Dawn watch (1:00-7:00) and my bunk is calling my name.
Wish I could carry you all with me wherever I go, but happy to be home soon and share the memories I’m making here. Hope all is well, love you fiercely!
Blake Lyons, A Watch, SUNY ESF